## Brief
Could you repeat every line further below that contains the word "stable"?
## Material
........
A relaxed structure of AlH3O3. Source: Materials Project, functional GGA-PBE.

Structure (POSCAR):
```
AlH3O3
1.0
5.231 0.000 0.000
0.000 9.466 0.000
-0.217 0.000 8.665
Al H O
8 24 24
Cartesian
0.000 2.347 0.000 Al
-0.108 7.119 4.332 Al
-0.020 2.389 2.951 Al
-0.128 7.077 7.283 Al
2.386 2.345 7.270 Al
2.495 7.121 2.938 Al
2.601 2.373 4.334 Al
2.709 7.093 0.001 Al
0.566 3.896 6.599 H
0.674 5.570 2.266 H
0.882 1.228 5.587 H
0.990 8.238 1.254 H
1.078 4.341 3.974 H
0.969 5.125 8.306 H
1.316 0.390 8.338 H
1.424 9.076 4.005 H
1.566 3.595 1.503 H
1.457 5.871 5.836 H
1.858 0.816 2.290 H
1.749 8.650 6.623 H
3.366 3.711 0.759 H
3.257 5.755 5.091 H
3.630 1.146 1.442 H
3.522 8.320 5.775 H
3.672 4.361 3.338 H
3.563 5.105 7.670 H
4.063 3.595 5.871 H
4.171 5.871 1.539 H
4.176 0.415 4.075 H
4.068 9.051 8.407 H
4.281 0.896 6.608 H
4.389 8.570 2.275 H
0.608 3.439 1.460 O
0.499 6.027 5.792 O
0.804 3.405 7.406 O
0.912 6.061 3.073 O
0.974 3.393 4.208 O
0.866 6.073 8.540 O
1.391 1.346 8.552 O
1.499 8.120 4.219 O
1.592 1.314 3.085 O
1.483 8.152 7.417 O
1.838 1.298 5.762 O
1.947 8.168 1.429 O
3.109 3.418 5.842 O
3.218 6.047 1.510 O
3.409 3.386 8.542 O
3.517 6.080 4.210 O
3.593 3.417 3.073 O
3.485 6.049 7.406 O
3.977 1.286 7.448 O
4.086 8.180 3.116 O
4.253 1.370 4.279 O
4.145 8.096 8.612 O
4.587 1.309 1.491 O
4.479 8.157 5.823 O
```

## Properties
- crystal system = monoclinic
- offset from the most stable computed form (eV per atom) = 0.024
- DFT total energy (eV per atom) = -5.836
- magnetic moment (μB/atom) = 0.00
- energy of formation (eV/atom) = -2.021

---

A relaxed structure of AlH3O3. Source: Materials Project, functional GGA-PBE.

Structure (POSCAR):
```
AlH3O3
1.0
5.237 0.000 0.000
0.000 9.424 0.000
0.000 0.000 8.780
Al H O
8 24 24
Cartesian
0.089 0.017 1.487 Al
0.089 4.695 5.877 Al
2.530 4.729 1.487 Al
2.530 9.407 5.877 Al
2.707 0.017 2.903 Al
2.707 4.695 7.293 Al
5.149 4.729 2.903 Al
5.149 9.407 7.293 Al
0.762 6.585 1.186 H
0.762 7.551 5.576 H
0.927 6.546 7.494 H
0.927 7.589 3.103 H
1.038 1.073 4.282 H
1.038 3.639 8.672 H
1.581 5.785 4.282 H
1.581 8.351 8.672 H
1.692 1.834 7.494 H
1.692 2.877 3.103 H
1.857 1.873 1.186 H
1.857 2.839 5.576 H
3.381 6.585 3.204 H
3.381 7.551 7.594 H
3.546 6.546 5.677 H
3.546 7.589 1.287 H
3.657 1.073 0.109 H
3.657 3.639 4.499 H
4.200 5.785 0.109 H
4.200 8.351 4.499 H
4.310 1.834 5.677 H
4.310 2.877 1.287 H
4.476 1.873 3.204 H
4.476 2.839 7.594 H
0.609 5.820 4.352 O
0.609 8.316 8.742 O
0.891 5.695 1.561 O
0.891 8.441 5.951 O
1.134 5.689 7.092 O
1.134 8.447 2.702 O
1.485 0.977 7.092 O
1.485 3.735 2.702 O
1.727 0.983 1.561 O
1.727 3.729 5.951 O
2.010 1.108 4.352 O
2.010 3.604 8.742 O
3.227 5.820 0.038 O
3.227 8.316 4.428 O
3.510 5.695 2.830 O
3.510 8.441 7.220 O
3.752 5.689 6.078 O
3.752 8.447 1.688 O
4.104 0.977 6.078 O
4.104 3.735 1.688 O
4.346 0.983 2.830 O
4.346 3.729 7.220 O
4.629 1.108 0.038 O
4.629 3.604 4.428 O
```

## Properties
- crystal system = orthorhombic
- offset from the most stable computed form (eV per atom) = 0.025
- DFT total energy (eV per atom) = -5.835
- energy of formation (eV/atom) = -2.020

---

A relaxed structure of AlH3O3. Source: Materials Project, functional GGA-PBE.

Structure (POSCAR):
```
AlH3O3
1.0
5.086 0.000 0.000
0.067 8.782 0.000
0.114 0.079 9.383
Al H O
8 24 24
Cartesian
0.000 0.000 0.000 Al
0.121 4.376 5.013 Al
2.399 8.755 4.813 Al
2.350 4.210 0.332 Al
2.555 1.366 9.383 Al
2.630 5.894 4.958 Al
4.914 1.446 4.830 Al
4.992 5.832 0.291 Al
0.472 3.601 8.629 H
0.742 7.248 7.567 H
0.787 2.537 6.896 H
0.841 7.005 3.841 H
0.785 2.495 1.266 H
0.908 0.514 6.816 H
1.094 5.406 6.968 H
1.448 0.212 2.038 H
1.653 4.554 3.052 H
1.685 1.895 3.168 H
1.782 6.285 1.876 H
2.633 2.049 5.935 H
2.923 6.622 8.424 H
3.002 3.928 6.336 H
3.385 7.539 1.200 H
3.437 3.226 3.815 H
3.494 0.159 7.471 H
3.536 5.370 7.532 H
3.885 2.861 7.930 H
3.964 1.053 2.002 H
4.149 5.510 3.044 H
4.216 7.539 5.892 H
4.313 8.268 3.204 H
4.303 3.789 1.737 H
0.674 2.824 5.949 O
0.798 7.206 8.540 O
0.740 0.131 5.883 O
........
## Done
- offset from the most stable computed form (eV per atom) = 0.024
- offset from the most stable computed form (eV per atom) = 0.025